Nowadays, it’s clear that our society fears aging more than ever before. In an insatiable desire to maintain youthfulness, Americans spend a great deal of money on products that promise to fight the signs of aging.
From nutrient-dense supplements to topical beauty creams, the anti-aging market is undoubtedly at an all-time high.
However, if you wish to slow down or even reverse the signs of aging, understanding exactly what happens to the body as we grow older is key. It’s also crucial that you recognize which products actually deliver and which are ineffective and based on marketing gimmicks.
Fascinatingly, researchers are beginning to believe that CBD may have a profound impact on the aging process.
Unlike many anti-aging products that are being marketed, CBD may have the ability to naturally halt the signs of aging by providing the body with what it needs to maintain its youth.
As you’ll see, numerous studies back up the theory that CBD holds the key to the anti-aging universe.
What Causes the Signs of Aging?
Obviously, aging is as inevitable as time is unstoppable. However, in terms of how aging affects our bodies, the process can take place at a faster rate as the result of numerous factors.
For example, certain lifestyle habits such as substance abuse can dramatically increase the rate at which our bodies age. Additionally, environmental factors can influence how our bodies age, such as exposure to toxins in the atmosphere. There’s also plenty of evidence that suggests that stress can influence the rate at which we age.
Many researchers also believe that genetics greatly determine how quickly the body demonstrates signs of aging.
What Happens During the Aging Process?

First, note that when we refer to the aging process in this article, we’re speaking about the physical changes that occur in the body as we get older.
After we reach 20 years of age, our bodies start to age. While most of us associate this process with the ways in which it changes our physical appearance, aging has an effect on every part of the body.
In terms of our skin, aging slowly replaces a supple, dewy complexion with one that’s thin, dry and full of wrinkles. This occurs for a few reasons, for one thing, as we age, our skin’s elasticity begins to decrease.
In other words, our skin can’t simply bounce back to its natural position like it once could. This has a lot to do with the fine lines that gradually develop as we get older.
Additionally, our skin becomes thinner and drier. Each pore secretes an oil called sebum that’s responsible for supplying the complexion with a layer of protective moisture.
As we get older, this production slows down, meaning that we have to work harder to keep our skin hydrated. Meanwhile, our skin slowly produces less and less collagen, a protein that keeps skin plump and supple.
The result is thinner layers of skin that sit tightly against the facial tissue.
Joints and Muscles
If you’re already of a certain age, you know that your joints and muscles just don’t function like they used to. Throughout the years, the musculoskeletal system begins to wear down simply because of excessive use.
Our knees, hips, shoulders and neck start to lose their range of motion while becoming more prone to pain. Meanwhile, our spine becomes more prone to injury as the result of years of stress. And, for many of us, our muscles start to ache more and more with every passing year.
Cognitive Function
Another major change that takes place as we get older is the gradual decrease in cognitive function. In other words, our brain’s capabilities weaken as we age. This can show itself in the form of poor memory, mental fatigue, struggle with focus and more.
This happens because of a process called neurogenesis that begins to slow down once we reach a certain age. The neurons in the brain gradually stop regenerating, meaning that we actually lose brain cells as we get older.
Can Aging be Reversed?

Up until recently, it was believed among medical researchers that the signs of aging could not be reversed. However, new studies demonstrate otherwise.
In one study, it was determined that the rate at which mice age is based on DNA passed down from the mother. Using this evidence, a group of researchers administered DNA-encoded ribonucleic acid to human cells in order to show that the signs of aging can be reversed.
What Can CBD Do for Aging?
Medical researchers are excited about the potential that CBD demonstrates in terms of its ability to impact the aging process. CBD has an incredibly unique way of interacting with the body that makes it appear very promising as far as anti-aging is concerned.
CBD is unusually high in antioxidants. In fact, it’s suggested that CBD has a higher level of antioxidants than vitamin C. These antioxidants prevent free radicals from causing cell damage.
When these free radicals interact with human cells, they cause the cells to die prematurely. Therefore, CBD might be capable of keeping the cells in the body healthy.
Many researchers are exploring CBD’s potential neuroprotective properties. It’s believed that CBD stimulates neurogenesis, a process in which new neurons take the place of old, damaged neurons.
Once we reach a certain age, the level at which our brain cells generate decreases. Those who suffer from Alzheimer’s experience a rapid loss of brain cells. If CBD truly can stimulate neurogenesis, it can decrease the rate at which we lose our cognitive function.
Anti-Inflammatory Properties
CBD is known for its powerful anti-inflammatory properties. Researchers are finding that chronic inflammation is linked to age-related diseases.
When the body is chronically inflamed, the immune system is overwhelmed with its responsibility to protect the cells of the body. This can cause the body to become more susceptible to illnesses that are associated with aging.
Additionally, CBD’s anti-inflammatory properties can help with pain, a condition that tends to worsen as we get older. In fact, it is been found to help with age-related arthritis pain.
Stress Relief
We stated earlier that stress can contribute to the aging process. If you’re experiencing chronic stress, the excessive amount of cortisol that’s being secreted from your brain makes your cells more likely to become damaged by free radicals.
CBD, fortunately, has been found by researchers to lower the amount of cortisol that’s secreted from the brain, helping a person manage stressful situations in a much healthier and calmer way.
How CBD Works
What is the Endocannabinoid System?

CBD’s interaction with the body is unique in that it supplies it with what it needs in order to maintain homeostasis. The body has an endocannabinoid system that depends on the production of endocannabinoids in order to regulate its many processes.
If a person is deficient in these endocannabinoids, the body struggles to maintain processes such as sleep cycle, stress management, mood and inflammation.
_Attached: data records_
<<<
1.
# C6H14NO

A gas-phase ion, C6H14NO (charge +2) at a distorted geometry (ωB97M-V/def2-TZVPD, OMol25).

CARTESIAN COORDINATES (ANGSTROEM)
C (-1.8151, 1.4163, 0.4492)
O (-2.2196, 2.0091, 1.6269)
C (-0.6390, 0.4755, 0.5611)
C (0.1074, 0.1260, -0.7991)
C (1.4628, -0.4851, -0.9240)
C (1.7274, -1.2080, -2.0768)
C (2.3416, -0.4791, 0.2378)
N (-1.2060, -0.9939, 0.9708)
H (-2.5995, 0.6589, 0.2252)
H (-1.7590, 2.1451, -0.3999)
H (-2.6835, 2.9076, 1.4788)
H (-0.0763, 0.8850, 1.4671)
H (0.2437, 1.0803, -1.2988)
H (-0.6424, -0.3274, -1.3475)
H (0.9491, -1.2756, -2.9153)
H (2.6637, -1.7934, -2.1730)
H (2.6091, -1.4672, 0.5490)
H (2.0140, 0.2568, 1.0284)
H (3.3671, -0.0723, -0.0593)
H (-0.6785, -1.7583, 0.4024)
H (-0.9799, -1.1192, 2.0509)
H (-2.1872, -0.9813, 0.9460)

LUMO (spin up / spin down): -8.707 / -12.292 eV
largest force on an atom: 5.33 eV Å⁻¹
charge: +2
orbital gap (spin up / spin down): 9.185 / 5.597 eV
⟨S²⟩: 0.75
E_HOMO (spin up / spin down): -17.89 / -17.89 eV
2S+1: 2
energy above the lowest of the compared OMol25 structures with the same formula, charge and spin: 38.6 kcal per mole

=====

2.
# C30H81BF4O11V

A molecular structure, C30H81BF4O11V at a distorted geometry (ωB97M-V/def2-TZVPD, OMol25).

CARTESIAN COORDINATES (ANGSTROEM)
V (0.2492, -14.1788, -0.4408)
O (1.7626, -13.0290, -1.3147)
H (2.4046, -12.6183, -1.9259)
B (-2.6327, -16.0619, -0.1807)
F (-1.5644, -15.3021, 0.2042)
F (-2.3012, -17.3838, 0.1604)
F (-3.7478, -15.6727, 0.5407)
F (-2.8822, -15.8594, -1.5345)
C (-1.4910, -14.3104, 5.1373)
C (-2.1413, -13.3750, 4.1228)
C (-2.2983, -11.9197, 4.4522)
O (-1.5142, -13.5903, 2.9158)
H (-0.4302, -14.1593, 5.3370)
H (-1.5552, -15.3734, 4.9048)
H (-2.0231, -14.1964, 6.0817)
H (-3.1858, -13.6776, 4.1976)
H (-1.3402, -11.4007, 4.4230)
H (-2.6528, -11.7715, 5.4722)
H (-3.0623, -11.4737, 3.8154)
H (-1.4728, -14.5445, 3.0126)
C (-4.8560, -13.0131, 1.8259)
C (-6.0938, -13.0097, 0.9379)
C (-7.0981, -13.9674, 1.3257)
O (-6.5772, -11.7059, 1.0596)
H (-5.0542, -12.6099, 2.8190)
H (-3.9555, -12.4875, 1.5083)
H (-4.3718, -13.9802, 1.9617)
H (-5.7827, -13.3752, -0.0407)
H (-7.9653, -13.8011, 0.6867)
H (-7.4636, -13.6892, 2.3142)
H (-6.7595, -15.0035, 1.3126)
H (-6.5041, -11.6319, 2.0139)
C (1.7468, -12.9738, 3.4652)
C (2.1327, -13.2090, 2.0143)
C (3.6228, -13.5536, 1.7568)
O (1.2830, -14.2229, 1.5394)
H (0.9067, -12.2997, 3.6324)
H (2.5488, -12.4028, 3.9330)
H (1.5278, -13.9371, 3.9258)
H (1.9455, -12.3108, 1.4258)
H (4.0173, -14.3454, 2.3936)
H (4.1486, -12.6764, 2.1339)
H (3.9768, -13.7793, 0.7509)
H (1.2514, -14.8365, 2.2771)
C (4.0845, -14.7410, -3.7188)
C (5.1284, -14.2997, -2.6569)
C (6.3847, -13.8118, -3.3168)
O (4.5736, -13.1889, -1.9625)
H (4.0083, -15.8248, -3.6313)
H (4.4061, -14.4688, -4.7241)
H (3.0758, -14.3681, -3.5414)
H (5.4618, -15.1135, -2.0130)
H (7.1560, -13.4585, -2.6325)
H (6.1751, -12.9912, -4.0031)
H (6.8514, -14.6676, -3.8046)
H (3.7126, -13.3229, -1.5596)
C (3.0404, -17.0050, 3.0832)
C (1.8324, -17.3113, 3.9807)
>>>
When we take CBD, we’re providing our body with the compound that’s required in order to regulate itself. This explains why CBD is known for its multi-tasking properties.
How to Use CBD for its Anti-Aging Benefits
Source Your CBD Wisely
In order to test CBD’s effects on the aging process, it’s imperative that you select CBD that’s uniquely high in quality and pure. Choose a company that has a good reputation.
These quantum chemistry results were left in the piece by mistake
=====
Formula: C5H15NO2
Source: the OMol25 dataset
Level of theory: ωB97M-V with the def2-TZVPD basis set

Calculated values
**Relative energy (zero: lowest compared OMol25 entry of this formula, charge and spin)**: 2.129 eV
**E_LUMO**: 0.6 eV
**Electronic energy**: -11011.8172 eV
**HOMO energy**: -0.3646 Ha
**Frontier orbital gap**: 10.535 eV

Last column: Mulliken charge in e.
Cartesian coordinates (Å):
C 0.342 2.700 0.198  -1.23
C 0.871 1.367 -0.212  -0.03
C -0.010 0.630 -1.258  -0.65
C -1.409 0.269 -0.770  -0.73
C -1.708 -1.927 0.154  -0.32
N -1.258 -0.719 0.302  -0.30
H 1.009 3.132 0.996  0.32
H -0.650 2.677 0.668  0.34
H 0.004 3.432 -0.692  0.26
H 1.095 0.638 0.546  0.22
H 1.837 1.524 -0.757  0.28
H 0.510 -0.197 -1.871  0.27
H -0.174 1.372 -2.073  0.36
H -1.876 1.127 -0.393  0.28
H -2.022 -0.310 -1.581  0.35
H -1.521 -2.606 0.957  0.32
H -2.166 -2.174 -0.854  0.21
H -0.201 -0.970 1.851  0.38
H 0.899 -1.826 1.931  0.38
O 0.409 -1.306 2.588  -0.69
H 1.794 -1.548 -0.125  0.31
H 2.559 -2.789 0.233  0.30
O 1.665 -2.495 0.164  -0.62

Formula: C5H9ClO2
Source: the OMol25 dataset
Level of theory: ωB97M-V with the def2-TZVPD basis set

Calculated values
**Relative energy (zero: lowest compared OMol25 entry of this formula, charge and spin)**: 4.467 eV
**E_LUMO**: 0.5 eV
**Electronic energy**: -21944.3401 eV
**HOMO energy**: -0.3073 Ha
**Frontier orbital gap**: 8.864 eV

Last column: Mulliken charge in e.
Cartesian coordinates (Å):
C -2.383 -0.113 0.361  -0.46
C -1.108 0.618 -0.022  -0.21
C 0.325 -1.908 -0.414  -0.69
C 2.421 1.544 0.045  -0.63
C 0.295 0.439 -0.144  0.62
O 1.023 -0.653 -0.210  -0.32
O 1.023 1.593 -0.011  -0.36
Cl -4.287 0.133 -0.400  -0.30
H -2.846 0.283 1.365  0.25
H -2.278 -1.257 0.384  0.22
H -1.115 1.722 0.005  0.31
H 1.159 -2.740 -0.134  0.23
H -0.054 -2.177 -1.358  0.37
H -0.647 -2.068 0.281  0.17
H 2.894 0.937 0.873  0.24
H 2.859 2.436 0.391  0.30
H 2.718 1.212 -1.012  0.27

Formula: C19H31N5O3
Source: the OMol25 dataset
Level of theory: ωB97M-V with the def2-TZVPD basis set

Calculated values
**Relative energy (zero: lowest compared OMol25 entry of this formula, charge and spin)**: 1.890 eV
**E_LUMO**: 0.6 eV
**Electronic energy**: -33799.3474 eV
**HOMO energy**: -0.3383 Ha
**Frontier orbital gap**: 9.816 eV

Last column: Mulliken charge in e.
Cartesian coordinates (Å):
C 1.000 4.160 1.554  -1.64
C -0.476 3.984 1.885  0.19
C -0.665 3.438 3.302  -0.73
C -2.134 3.172 3.606  -0.58
O -2.675 2.283 2.652  -0.42
C -2.640 2.833 1.349  -1.20
C -1.192 3.052 0.907  1.18
C -1.213 3.649 -0.498  0.02
O -1.549 4.817 -0.640  -0.70
N -0.895 2.863 -1.555  0.25
C -0.860 3.421 -2.893  -1.12
C -0.496 1.469 -1.459  -1.14
C 1.001 1.290 -1.208  0.31
C 1.425 -0.175 -1.111  -0.51
C 1.354 -0.917 -2.448  -0.82
C 1.859 -2.346 -2.331  0.46
O 3.055 -2.567 -2.441  -0.66
N 0.961 -3.348 -2.142  0.07
C 1.463 -4.708 -1.978  -1.19
C 1.742 -5.001 -0.501  -0.67
C 0.522 -4.563 0.241  0.68
C -0.468 -3.760 -0.259  0.23
N -1.451 -3.624 0.631  -0.43
=====
Even better, look for third-party lab results on the company’s website in order to ensure that you’re choosing a product that’s proven to be high in quality.
Choose the Right Method of Consumption
There are many different ways to take CBD. In the end, they’re all effective in their own way. However, if you’re looking primarily to treat age-related skin issues, a topical product is probably best.
If you’re interested in supplying your body with CBD in order to generally decrease the rate at which the aging process occurs, consider an edible CBD product or a CBD oil tincture. Both of these products can be taken daily.
Patience is Key
Understand that for some people, CBD needs to accumulate in the system before providing noticeable results. Just stick to your routine and give it some time to supply the body with what it needs.
CBD: The Possible Next Ageless Wonder
With so much promising research, many believe that CBD has the potential to treat the signs of aging. If you’re desperate to stop the clock, consider giving this cannabinoid a try.